The COWARDS are trying to wiggle out of another one!
Posts by moman
by bay64me inis it true that the society has done away with blood cards?.......and if so how do you know?
47 years ago today..................
by Makena1 ini was born whilst my parents were on a jw missionary assignment.
unofficially i am only a year old!
== Data records that have nothing to do with the entry ==
'''
# 1
Density functional theory data (PBE-GGA) for TbGa12Ni6 after structural relaxation.

Properties
Symmetry: No. 166
Crystal system: trigonal
Energy relative to the elements: -0.32 eV per atom

Unit cell a=6.9236 b=6.9236 c=6.9236 alpha=104.33 beta=104.33 gamma=104.33
Last column: nearest neighbours and their distance in Å.
Positions (direct):
Ni (0.7161, 0.2902, 0.7161)  7 Ga 2.40-2.58
Ni (0.2839, 0.7098, 0.2839)  7 Ga 2.40-2.58
Ni (0.7161, 0.7161, 0.2902)  7 Ga 2.40-2.58
Ni (0.2902, 0.7161, 0.7161)  7 Ga 2.40-2.58
Ni (0.7098, 0.2839, 0.2839)  7 Ga 2.40-2.58
Ni (0.2839, 0.2839, 0.7098)  7 Ga 2.40-2.58
Ga (0.1491, 0.4047, 0.4047)  3 Ni 2.42-2.51, 2 Ga 2.69
Ga (0.5000, 0.8855, 0.1145)  4 Ni 2.40-2.58, 1 Ga 2.51
Ga (0.5953, 0.8509, 0.5953)  3 Ni 2.42-2.51, 2 Ga 2.69
Ga (0.1145, 0.5000, 0.8855)  4 Ni 2.40-2.58, 1 Ga 2.51
Ga (0.5000, 0.1145, 0.8855)  4 Ni 2.40-2.58, 1 Ga 2.51
Ga (0.1145, 0.8855, 0.5000)  4 Ni 2.40-2.58, 1 Ga 2.51
Ga (0.4047, 0.4047, 0.1491)  3 Ni 2.42-2.51, 2 Ga 2.69
Ga (0.8509, 0.5953, 0.5953)  3 Ni 2.42-2.51, 2 Ga 2.69
Ga (0.8855, 0.1145, 0.5000)  4 Ni 2.40-2.58, 1 Ga 2.51
Ga (0.4047, 0.1491, 0.4047)  3 Ni 2.42-2.51, 2 Ga 2.69
Ga (0.5953, 0.5953, 0.8509)  3 Ni 2.42-2.51, 2 Ga 2.69
Ga (0.8855, 0.5000, 0.1145)  4 Ni 2.40-2.58, 1 Ga 2.51
Tb (0.0000, 0.0000, 0.0000)  6 Ga 3.17

# 2
Density functional theory data (PBE-GGA) for BeTl2W after structural relaxation.

Properties
E above lowest polymorph: 0.295 eV per atom
Symmetry: No. 166
Crystal system: trigonal
Energy relative to the elements: 0.97 eV per atom

Unit cell a=9.0420 b=9.0420 c=9.0420 alpha=19.86 beta=19.86 gamma=19.86
Last column: nearest neighbours and their distance in Å.
Positions (direct):
Be (0.7500, 0.7500, 0.7500)  6 Tl 2.70
Tl (0.0077, 0.0077, 0.0077)  3 Be 2.70, 3 W 3.02
Tl (0.4923, 0.4923, 0.4923)  3 Be 2.70, 3 W 3.02
W (0.2500, 0.2500, 0.2500)  6 Tl 3.02, 6 W 3.12

# 3
Density functional theory data (PBE-GGA) for Pr3Pd2 after structural relaxation.

Properties
E above lowest polymorph: 0.087 eV per atom
Symmetry: No. 12
Crystal system: monoclinic
Energy relative to the elements: -0.52 eV per atom

Unit cell a=4.3729 b=9.5964 c=11.2024 alpha=98.40 beta=90.00 gamma=103.17
Last column: nearest neighbours and their distance in Å.
Positions (direct):
Pr (0.4630, 0.9261, 0.3395)  4 Pd 2.90-3.22
Pr (0.8287, 0.6575, 0.0542)  4 Pd 2.88-2.98
Pr (0.7921, 0.5842, 0.3881)  4 Pd 3.00-3.29
Pr (0.5370, 0.0739, 0.6605)  4 Pd 2.90-3.22
Pr (0.2079, 0.4158, 0.6119)  4 Pd 3.00-3.29
Pr (0.1713, 0.3425, 0.9458)  4 Pd 2.88-2.98
Pr (0.1291, 0.2581, 0.2760)  5 Pd 2.91-3.01
Pr (0.8709, 0.7419, 0.7240)  5 Pd 2.91-3.01
Pr (0.5000, 0.0000, 0.0000)  4 Pd 3.00
Pd (0.9764, 0.9529, 0.1736)  6 Pr 2.88-3.00
Pd (0.0236, 0.0471, 0.8264)  6 Pr 2.88-3.00
Pd (0.6832, 0.3663, 0.1285)  6 Pr 2.96-3.29
Pd (0.6303, 0.2605, 0.4607)  7 Pr 3.00-3.25
Pd (0.3697, 0.7395, 0.5393)  7 Pr 3.00-3.25
Pd (0.3168, 0.6337, 0.8715)  6 Pr 2.96-3.29

# 4
'''
== Here the entry continues ==
lol this will be the first time my family and i have ever celebrated.
Happy BBBBBBBBBBa Ba Birthday!
Concluding talk at the Coventry Assembly
by Jim Dee inthe bad note taker strikes again!!
jim .
concluding talk at the coventry assembly.
Outlaw, we have to hand it to them, they make lots of CASH & tax-free!
Bomb Threat at District Convention in Calgary
by dobby inafter, we were again allowed into the building no.
one without a lapel card was allowed in without being thoroughly.
after about 20 minutes all.
Dumb dubs, like sheep to the slaughter!
Why Ex-JWs Will Never Go From Door to Door
by comforter injehovah's witnesses proclaim the good news of the kingdom under the power of god's holy spirit.
jesus commanded his followers to preach in the most distant parts of the earth and promised them that the spirit of god would guide them in this life-saving work (acts 1:8).. without the spirit of god, one cannot continue preaching about jesus and god's kingdom (matthew 24:14).
one surely will not have god's spirit if one preaches a negative message (against jehovah's servants) from door to door.
can you tell me why the WT printed the pictures of those innocent, but DEAD children on the front page of the 94 Awake?
by D8TA inhello watchtower monitors and people of the's the game.. somewhere, in the united states, there is going to be an apostate showing up at one of your district assemblies, he will be sporting a rainbow wig and a john 3:16 sign.
inside the convention.. now now, before apologists and dissents come my way.....i got a protest permit to be on said premis, and also, once i wear the wig and show the soon as they tell me to leave, i will comply...therefore i cant go to jail(saaay all you want, i already have an "ace up the sleeve" on this, so guess what?
you're wrong if you even think otherwise hehheheheheh).
Why would they tell you to leave?
Dateline discussed openly in our congregation
by TheMatrix inyesterday, the presiding overseer (elder h) read the letter from the christian congregation of jehovahs witnesses (us branch) regarding their policy on child abuse.
all scriptures were also looked up and read.. elder h is a very prepared brother.
he is a gilead graduate and served as a missionary for about 7 years in kenya before coming home because of illness.
"Apology from the Governing Body"? ha ha he he lol
God does not do that often! -
Dateline discussed openly in our congregation
by TheMatrix inyesterday, the presiding overseer (elder h) read the letter from the christian congregation of jehovahs witnesses (us branch) regarding their policy on child abuse.
all scriptures were also looked up and read.. elder h is a very prepared brother.
he is a gilead graduate and served as a missionary for about 7 years in kenya before coming home because of illness.
Matrix, what does Mr.(nice guy) elder have to say about the "dead-lambs", you know, the ones that died on the Watchtowers ALTAR OF NONCENSE?
+++
The following is a DFT calculation (PBE-GGA) of a relaxed SrLaCr2 crystal.

Summary:
V = 27.41 Å³ per atom
Final energy = -5.914 eV/atom
ΔE_f = 0.550 eV/atom
Relative energy among the computed polymorphs = 47 meV per atom
Spin magnetization = 0.002 μB/atom

Unit cell a=4.086 b=5.556 c=9.660 alpha=90.00 beta=90.00 gamma=90.00
Space group Imm2 (No. 44)
Symmetry-distinct sites (fractional):
Sr 0.000 0.000 0.000 [2 per cell]
La 0.000 0.500 0.192 [2 per cell]
Cr 0.000 0.000 0.412 [2 per cell]
Cr 0.000 0.500 0.786 [2 per cell]
+++
What's the one thing you miss about the WTS?
Next to the page, the page also holds data records:
~~~
First-principles (SCAN) data for a crystal of TaAlW2 relaxed with PBEsol, as listed in the Alexandria database.

```
TaAlW2
1.0
2.7276 0.0000 0.0000
0.0000 4.4988 0.0000
-0.8796 0.0000 5.1913
Ta Al W
1 1 2
Direct
0.0000 0.0000 0.0000
0.5000 0.0000 0.5000
0.2444 0.5000 0.7491
0.7556 0.5000 0.2509
```

- crystal system = monoclinic
- calculated density (g/cm3) = 15.0
- Fermi-level density of states (states/eV/cell) = 1.66
- M_tot (μB/atom) = 0.0000
- ΔH_f (0 K) (kJ per mole of atoms) = -4.3
- calculated total energy (eV per atom) = -53.472

---

First-principles (SCAN) data for a crystal of TaAlW2 relaxed with PBEsol, as listed in the Alexandria database.

```
TaAlW2
1.0
2.7373 0.0000 0.0000
0.0000 4.4928 0.0000
-0.9677 0.0000 5.1902
Ta Al W
1 1 2
Direct
0.0000 0.0000 0.0000
0.3115 0.5000 0.7530
0.5107 0.0000 0.4937
0.7417 0.5000 0.2639
```

- crystal system = monoclinic
- calculated density (g/cm3) = 15.0
- Fermi-level density of states (states/eV/cell) = 1.42
- M_tot (μB/atom) = 0.0000
- ΔH_f (0 K) (kJ per mole of atoms) = -5.6
- calculated total energy (eV per atom) = -53.486

---

First-principles (SCAN) data for a crystal of YTa2Al relaxed with PBEsol, as listed in the Alexandria database.

```
YTa2Al
1.0
-1.9455 2.1581 4.6482
1.9455 -2.1581 4.6482
1.9455 2.1581 -4.6482
Y Ta Al
1 2 1
Direct
0.0000 0.0000 0.0000
0.2579 0.7579 0.5000
0.7421 0.2421 0.5000
0.5000 0.5000 0.0000
```

- crystal system = orthorhombic
- calculated density (g/cm3) = 10.2
- Fermi-level density of states (states/eV/cell) = 2.45
- M_tot (μB/atom) = 0.0000
- ΔH_f (0 K) (kJ per mole of atoms) = 15.9
- calculated total energy (eV per atom) = -42.026

---

First-principles (SCAN) data for a crystal of YTa2Al relaxed with PBEsol, as listed in the Alexandria database.

```
YTa2Al
1.0
4.7961 -1.4872 0.0000
4.7961 1.4872 0.0000
-0.7009 0.0000 5.5647
Y Ta Al
1 2 1
Direct
0.0000 0.0000 0.0000
0.5168 0.5168 0.5089
0.7729 0.7729 0.3047
0.2503 0.2503 0.7321
```

- crystal system = monoclinic
- calculated density (g/cm3) = 10.0
- Fermi-level density of states (states/eV/cell) = 2.85
- M_tot (μB/atom) = 0.0000
- ΔH_f (0 K) (kJ per mole of atoms) = 17.4
- calculated total energy (eV per atom) = -42.010

---

First-principles (SCAN) data for a crystal of YTaAl3 relaxed with PBEsol, as listed in the Alexandria database.

```
YTaAl3
1.0
4.9750 0.0000 0.0000
0.0000 4.9750 0.0000
0.0000 0.0000 4.9750
Y Ta Al
1 1 3
Direct
0.0000 0.0000 0.0000
0.5000 0.5000 0.5000
0.0000 0.0000 0.5000
0.0000 0.5000 0.0000
0.5000 0.0000 0.0000
```

- crystal system = cubic
- calculated density (g/cm3) = 4.7
- Fermi-level density of states (states/eV/cell) = 6.37
- M_tot (μB/atom) = 0.2165
- ΔH_f (0 K) (kJ per mole of atoms) = 186.0
- calculated total energy (eV per atom) = -21.609

---

First-principles (SCAN) data for a crystal of YTaAl4 relaxed with PBEsol, as listed in the Alexandria database.

```
YTaAl4
1.0
0.0000 3.7387 3.7387
3.7387 0.0000 3.7387
3.7387 3.7387 0.0000
Y Ta Al
1 1 4
Direct
~~~
So much for the data records:
by Naeblis inthere are times when ilook back fondly on my days in the witnesses, especially when i think on the congregation get togethers we would have every once in awhile (not too often) people from our hall and sometimes others would show up (not too many) and good times were had by all.
this is how the schedule usually went.. 8pm: arrive at the community centre.
8:05pm: scope the room.
Getting "love-bombed" by beautiful women like I was some kinda rock-star, lol
This Board and JWs
by comforter inat one time, this board seemed to be fair.
but i no longer think that it is, to jws, at least.
ex-jws here can cuss, insult, say fu to everybody they don't like, and call jws pedophiles.
FREEDOM OF SPEECH is a wonderful thing, something dubs know very little of!
"God what a country!"...Y. Smirnoff